**Wanted**
Your job: type out only the last part of the entries underneath, starting with the line that has "10.771 eV.".

**File**
/*
Entry from the OMol25 dataset: a single C5H8S molecule (the ωB97M-V functional and the def2-TZVPD basis).

## Properties
Frontier orbital gap = 10.074 eV
Total charge = 0
DFT total energy = -593.464100 Ha
ΔE to the lowest compared entry with this formula, charge and spin = 63.36 kJ/mol
SMILES = SC1CC=CC1

Last columns: bonded neighbours and bond lengths (Å).
Geometry (Å):
1 C -0.536 0.031 -0.687  C2 1.526, C5 1.524, H7 1.112, S14 1.865
2 C -0.625 0.843 0.602  C1 1.526, C3 1.531, H8 1.089, H9 1.097
3 C 0.854 0.893 0.991  C2 1.531, C4 1.300, H10 1.169
4 C 1.522 -0.064 0.418  C3 1.300, C5 1.545, H11 1.074
5 C 0.689 -0.870 -0.602  C1 1.524, C4 1.545, H12 1.051, H13 1.120
6 H -2.337 -1.552 -0.236  S14 1.338
7 H -0.335 0.732 -1.526  C1 1.112
8 H -1.348 0.385 1.277  C2 1.089
9 H -1.023 1.852 0.437  C2 1.097
10 H 1.202 1.583 1.869  C3 1.169
11 H 2.579 -0.218 0.527  C4 1.074
12 H 0.412 -1.808 -0.215  C5 1.051
13 H 1.110 -1.117 -1.611  C5 1.120
14 S -2.163 -0.691 -1.245  C1 1.865, H6 1.338

Atom charges from the Mulliken analysis, given in e for atoms 1 to 6:
1 C -0.163
2 C -0.557
3 C -0.291
4 C -0.349
5 C -0.648
6 H 0.107

----------

Here is a 2-piece molecular cluster, C3H8O2 overall at a distorted geometry from the OMol25 dataset. Energies are from ωB97M-V/def2-TZVPD.

Its SMILES is CC=O.CO. The calculation puts the energy above the lowest of the compared OMol25 structures with the same formula, charge and spin at 2.812 eV. The value obtained for the HOMO energy is -0.370 Ha. The charge is 0. The value obtained for the orbital gap is 10.771 eV.

Atoms and positions in Å:
C  -1.86857  0.13769  -0.96157
C  -1.84932  0.23573  0.54592
O  -1.35663  1.14606  1.18675
H  -2.86220  0.18976  -1.47975
H  -1.46243  0.95260  -1.52899
H  -1.64973  -0.83504  -1.29485
H  -2.61040  -0.35156  1.06992
C  2.47901  0.12259  0.58681
O  2.17177  -1.32163  0.25522
H  3.31682  0.32924  1.23306
H  1.64558  0.11276  1.21837
H  2.54436  0.59863  -0.41092
H  1.50173  -1.31684  -0.41998

Atomic forces in eV per Å
C -1.605 0.652 -0.526
C -1.529 2.425 0.012
O 0.418 -1.018 -0.843
H -0.243 -0.017 1.546
H 1.460 0.192 0.213
H 1.258 -1.277 -0.461
H 0.264 -0.975 0.063
C -0.885 -2.443 -1.637
O 2.279 -0.130 0.449
H 0.806 -0.780 -0.324
H -1.594 2.512 0.684
H -0.359 0.584 1.145
H -0.269 0.276 -0.321



Here is a 2-piece molecular cluster, C3H8O2 overall at a distorted geometry from the OMol25 dataset. Energies are from ωB97M-V/def2-TZVPD.

Its SMILES is CC=O.CO. The calculation puts the energy above the lowest of the compared OMol25 structures with the same formula, charge and spin at 2.006 eV. The value obtained for the HOMO energy is -0.360 Ha. The charge is 0. The value obtained for the orbital gap is 10.411 eV.

Atoms and positions in Å:
C  0.14755  -2.48488  -0.37621
C  0.96726  -1.55549  -1.19465
O  0.88114  -0.35175  -1.06099
H  0.36480  -3.51358  -0.61464
H  -0.95888  -2.39736  -0.52409
H  0.12421  -2.26445  0.68832
H  1.33913  -1.89615  -2.17070
C  -0.63703  2.70768  0.87959
O  0.51887  1.88127  0.70238
H  -1.11461  2.36722  1.82339
H  -0.28905  3.72561  1.03467
H  -1.52239  2.78131  0.24767
H  0.17901  1.00059  0.56526

Atomic forces in eV per Å
C -1.188 -0.603 0.621
C -2.280 1.670 -1.079
O 0.694 -0.439 0.511
H 0.279 -0.423 0.347
H 0.824 0.371 -0.849
H 0.877 -0.130 0.211
H 0.729 -0.582 0.250
C -0.070 0.063 2.483
O -1.092 0.856 -0.753
H 0.213 0.473 -0.048
H 0.100 0.010 0.002
H 0.635 -0.663 -1.325
H 0.279 -0.603 -0.371



Here is one molecule with the formula C3H8O2 at a distorted geometry from the OMol25 dataset. Energies are from ωB97M-V/def2-TZVPD.

Its SMILES is COCCO. The calculation puts the energy above the lowest of the compared OMol25 structures with the same formula, charge and spin at 2.652 eV. The value obtained for the HOMO energy is -0.352 Ha. The charge is 0. The value obtained for the orbital gap is 10.547 eV.

Atoms and positions in Å:
C  1.68621  0.78753  0.39927
O  0.39507  0.27884  0.79628
C  -0.26448  -0.90173  -0.03413
*/

**Solution**
Its SMILES is CC=O.CO. The calculation puts the energy above the lowest of the compared OMol25 structures with the same formula, charge and spin at 2.812 eV. The value obtained for the HOMO energy is -0.370 Ha. The charge is 0. The value obtained for the orbital gap is 10.771 eV.

Atoms and positions in Å:
C  -1.86857  0.13769  -0.96157
C  -1.84932  0.23573  0.54592
O  -1.35663  1.14606  1.18675
H  -2.86220  0.18976  -1.47975
H  -1.46243  0.95260  -1.52899
H  -1.64973  -0.83504  -1.29485
H  -2.61040  -0.35156  1.06992
C  2.47901  0.12259  0.58681
O  2.17177  -1.32163  0.25522
H  3.31682  0.32924  1.23306
H  1.64558  0.11276  1.21837
H  2.54436  0.59863  -0.41092
H  1.50173  -1.31684  -0.41998

Atomic forces in eV per Å
C -1.605 0.652 -0.526
C -1.529 2.425 0.012
O 0.418 -1.018 -0.843
H -0.243 -0.017 1.546
H 1.460 0.192 0.213
H 1.258 -1.277 -0.461
H 0.264 -0.975 0.063
C -0.885 -2.443 -1.637
O 2.279 -0.130 0.449
H 0.806 -0.780 -0.324
H -1.594 2.512 0.684
H -0.359 0.584 1.145
H -0.269 0.276 -0.321



Here is a 2-piece molecular cluster, C3H8O2 overall at a distorted geometry from the OMol25 dataset. Energies are from ωB97M-V/def2-TZVPD.

Its SMILES is CC=O.CO. The calculation puts the energy above the lowest of the compared OMol25 structures with the same formula, charge and spin at 2.006 eV. The value obtained for the HOMO energy is -0.360 Ha. The charge is 0. The value obtained for the orbital gap is 10.411 eV.

Atoms and positions in Å:
C  0.14755  -2.48488  -0.37621
C  0.96726  -1.55549  -1.19465
O  0.88114  -0.35175  -1.06099
H  0.36480  -3.51358  -0.61464
H  -0.95888  -2.39736  -0.52409
H  0.12421  -2.26445  0.68832
H  1.33913  -1.89615  -2.17070
C  -0.63703  2.70768  0.87959
O  0.51887  1.88127  0.70238
H  -1.11461  2.36722  1.82339
H  -0.28905  3.72561  1.03467
H  -1.52239  2.78131  0.24767
H  0.17901  1.00059  0.56526

Atomic forces in eV per Å
C -1.188 -0.603 0.621
C -2.280 1.670 -1.079
O 0.694 -0.439 0.511
H 0.279 -0.423 0.347
H 0.824 0.371 -0.849
H 0.877 -0.130 0.211
H 0.729 -0.582 0.250
C -0.070 0.063 2.483
O -1.092 0.856 -0.753
H 0.213 0.473 -0.048
H 0.100 0.010 0.002
H 0.635 -0.663 -1.325
H 0.279 -0.603 -0.371



Here is one molecule with the formula C3H8O2 at a distorted geometry from the OMol25 dataset. Energies are from ωB97M-V/def2-TZVPD.

Its SMILES is COCCO. The calculation puts the energy above the lowest of the compared OMol25 structures with the same formula, charge and spin at 2.652 eV. The value obtained for the HOMO energy is -0.352 Ha. The charge is 0. The value obtained for the orbital gap is 10.547 eV.

Atoms and positions in Å:
C  1.68621  0.78753  0.39927
O  0.39507  0.27884  0.79628
C  -0.26448  -0.90173  -0.03413